Injustice built into our tax system hurts poor the most

U.S. Justice Oliver Wendell Holmes once famously declared: “I don’t mind paying taxes. They buy me civilization.” I completely agree. But in the last 28 years, tax policies have been ever more biased in favour of powerful special interests which dominate our society and dispossess the poor: the unearned income of the rich, tax-evading corporations with teams of tax lawyers, and high-on-the hog business expenses.

Indeed, the Canadian tax system might now be called a war of the rich against the poor — which is the way John Kenneth Galbraith saw the North American pattern. Taxes on unearned capital gains and corporations keep declining at a cost to the public of endless hundreds of billions of dollars, while write-offs allow big business to end up paying zero tax or a lower percent of income than the poor.

The logic of taxation on corporations and the rich, writes corporate law professor Harry Glassbeek, “is the logic of tax evasion. Tax law,” he observes in his definitive book, Wealth By Stealth, is set to make “rich people pay less than working people” and “to maintain the accumulation of wealth by the few.”

Just look at your own tax form. There is a perfect class division on allowable expense deductions. Business people can write off luxury meals, drinks, and car bills from their taxes, while the salary and wage earners cannot deduct a bus ticket.

The class war for the rich against the public sector and the poor has skyrocketed since the Reagan-Thatcher counter-revolution for the rich began — so successfully that Galbraith concluded that “the rich have won their war against the poor.” Yet even then, demand by the rich for a “flat tax” seeks to eliminate completely what remains of the progressive income tax.

The war is waged at all levels of the tax system itself. Ever more tax evasion, off-shore banking, loopholes, transfer pricing, and corporate shell-companies combine with ever lower upfront tax rates for the wealthy and big business and extravagant tax and other subsidies to transnational oil corporations, factory agribusiness, weapons manufacturers, and Big Pharma.

This tax largesse for the rich contrasts with ever more of the vast public revenue transfer to the plutocracy paid for by ever more flat taxes on consumers, ever more defunded social programs and universities, ever more unenforced environmental and work-safety regulations, and — to crown it all — ever more business-controlled political party promises to cut taxes further. In short, the interests of the public and democracy have been increasingly defunded and ridden upon by a plutocratic rule which has reversed the very meaning of economy. The poor suffer most.

Plutocratic dismantling of the social fabric has occurred across nations and has been most of all enabled by borderless trade which has rendered public authority impotent and transnational corporations predominant. Democracy, universal social programs, and the public economy, along with support for those in poverty, have been largely eradicated. Yet corporate media and business-led parties still favour even lower taxes from which most benefits go to the rich, more use of armed force in poor countries like Afghanistanwhich have desired oil-access and mineral resources, and of course “getting tough on crime” — that is, jailing the poor, most of whom have committed no crimes against persons.

(P)
Here is a relaxed SrTi3Nb crystal from Alexandria. Energies are from GGA-PBE.

As for the space-group type: Pm-3m, No. 221.

abc: 4.993 4.993 4.993
angles: 90.00 90.00 90.00
Fractional positions:
Sr  0.000  0.000  0.000
Ti  0.000  0.500  0.500
Ti  0.500  0.000  0.500
Ti  0.500  0.500  0.000
Nb  0.500  0.500  0.500


(Q)
Here is a relaxed SrTi3Nb crystal from Alexandria. Energies are from GGA-PBE.

As for the space-group type: Pm-3m, No. 221.

abc: 4.695 4.695 4.695
angles: 90.00 90.00 90.00
Fractional positions:
Sr  0.000  0.000  0.000
Ti  0.000  0.000  0.500
Ti  0.000  0.500  0.000
Ti  0.500  0.000  0.000
Nb  0.500  0.500  0.500


(P) is the most stable structure; the next one sits 1201 meV/atom above it.


(P)
Here is a relaxed SrTi2Nb crystal from Alexandria. Energies are from GGA-PBE.

As for the space-group type: I4_1/amd, No. 141.

abc: 9.786 9.786 9.786
angles: 150.09 150.09 42.81
Fractional positions:
Sr  0.375  0.625  0.750
Sr  0.625  0.375  0.250
Ti  0.000  0.000  0.000
Ti  0.000  0.000  0.500
Ti  0.000  0.500  0.000
Ti  0.500  0.000  0.500
Nb  0.125  0.875  0.250
Nb  0.875  0.125  0.750


(Q)
Here is a relaxed SrTi2Nb crystal from Alexandria. Energies are from GGA-PBE.

As for the space-group type: Fm-3m, No. 225.

abc: 4.938 4.938 4.938
angles: 60.00 60.00 60.00
Fractional positions:
Sr  0.000  0.000  0.000
Ti  0.250  0.250  0.250
Ti  0.750  0.750  0.750
Nb  0.500  0.500  0.500


(Q) is the most stable structure; the next one sits 414 meV/atom above it.


(P)
Here is a relaxed SrNb2Tl crystal from Alexandria. Energies are from GGA-PBE.

As for the space-group type: I-42d, No. 122.

abc: 6.673 6.673 6.673
angles: 100.85 100.85 128.56
Fractional positions:
Sr  0.000  0.000  0.000
Sr  0.750  0.250  0.500
Nb  0.163  0.125  0.538
Nb  0.375  0.837  0.962
Nb  0.587  0.625  0.462
Nb  0.875  0.413  0.038
Tl  0.250  0.750  0.500
Tl  0.500  0.500  0.000


(Q)
Here is a relaxed SrNb2Tl crystal from Alexandria. Energies are from GGA-PBE.

As for the space-group type: Fm-3m, No. 225.

abc: 5.030 5.030 5.030
angles: 60.00 60.00 60.00
Fractional positions:
Sr  0.000  0.000  0.000
Nb  0.250  0.250  0.250
Nb  0.750  0.750  0.750
Tl  0.500  0.500  0.500


(Q) is the most stable structure; the next one sits 122 meV/atom above it.


(P)
Here is a relaxed Sr3NbTl crystal from Alexandria. Energies are from GGA-PBE.

As for the space-group type: Pm-3m, No. 221.

abc: 5.905 5.905 5.905
angles: 90.00 90.00 90.00
Fractional positions:
Sr  0.000  0.000  0.500
Sr  0.000  0.500  0.000
Sr  0.500  0.000  0.000
Nb  0.000  0.000  0.000
Tl  0.500  0.500  0.500


(Q)
Here is a relaxed Sr3NbTl crystal from Alexandria. Energies are from GGA-PBE.

As for the space-group type: Pm-3m, No. 221.

abc: 6.231 6.231 6.231
angles: 90.00 90.00 90.00
Fractional positions:
Sr  0.000  0.000  0.500
Sr  0.000  0.500  0.000
Sr  0.500  0.000  0.000
Nb  0.500  0.500  0.500
Tl  0.000  0.000  0.000


(P) is the most stable structure; the next one sits 61 meV/atom above it.


(P)

The ultimate goal is to turn money into more money for those with the most money, with no limit and no requirement of productive contribution. Nothing that comes out of the Fraser and CD Howe Institutes, the Citizens’ Coalition, and the Harper Reform-Tories proposes to change the pattern, except to make it more extreme. And because this ruling money code is life-blind in principle, its cumulative effect over time is to hollow out most people’s lives and incomes, as well as ecological support systems — all affecting the poor most of all.

The tax war for the rich began in the U.S. with the Reagan administration, which immediately gave away an unprecedented $500 billion in tax cuts in 1981 dollars to the wealthy to force a reduction of social programs. This perverse strategy has been imitated by branch-plant business parties in Canada ever since. Four out of five taxpayers ended up paying more, the richest 5% got much richer, social programs got stripped, and armed forces expenditures and public debt multiplied. The Great Reversal of substantive democracy was then pressed onto corporate free trade, which exported secure well-paying jobs to far-lower-wage and non-regulated Third World sweatshops.

Inexorably and severely pushed down were workers’ life security and incomes, life-protective workplace regulations, and environmental safeguards — all creating more real poverty in society. At the same time there were massive public revenue transfers to the rich and corporations, while 20%-prime private bank lending rates squeezed public sectors and poorer people dry in an irresponsible race to the bottom. This was called “the competitive economy.”

What comes next are crystal structures, not part of the piece.
____________
<A>
# LiSi2Pt

A relaxed structure of LiSi2Pt (PBE, Alexandria).

D(E_F): 1.22 states/eV/f.u.

The structure in extended XYZ format:
```
4
Lattice="4.2965 -1.4544 0.0000 4.2965 1.4544 0.0000 -0.5474 0.0000 4.4288" Properties=species:S:1:pos:R:3 pbc="T T T"
Li 0.0000 0.0000 0.0000
Si 4.1044 0.0000 2.2166
Si 6.3794 0.0000 1.0712
Pt 1.7258 0.0000 3.2914
```



<B>
# LiSi2Pt

A relaxed structure of LiSi2Pt (PBE, Alexandria).

D(E_F): 2.06 states/eV/f.u.

The structure in extended XYZ format:
```
4
Lattice="2.8800 0.0000 0.0000 0.0000 2.8800 0.0000 0.0000 0.0000 7.4406" Properties=species:S:1:pos:R:3 pbc="T T T"
Li 0.0000 0.0000 0.0000
Si 1.4400 1.4400 2.0376
Si 1.4400 1.4400 5.4031
Pt 0.0000 0.0000 3.7203
```



<A> is preferred energetically. Next in line: 73 meV per atom higher.



<A>
# MgZnAs2

A relaxed structure of MgZnAs2 (PBE, Alexandria).

D(E_F): 1.84 states/eV/f.u.

The structure in extended XYZ format:
```
4
Lattice="0.0000 3.3617 3.3617 3.3617 0.0000 3.3617 3.3617 3.3617 0.0000" Properties=species:S:1:pos:R:3 pbc="T T T"
Mg 0.0000 0.0000 0.0000
Zn 1.6809 1.6809 1.6809
As 3.3617 3.3617 3.3617
As 5.0426 5.0426 5.0426
```



<B>
# MgZnAs2

A relaxed structure of MgZnAs2 (PBE, Alexandria).

D(E_F): 2.21 states/eV/f.u.

The structure in extended XYZ format:
```
4
Lattice="3.1283 0.0000 0.0000 0.0000 3.1283 0.0000 0.0000 0.0000 7.6658" Properties=species:S:1:pos:R:3 pbc="T T T"
Mg 0.0000 0.0000 0.0000
Zn 0.0000 0.0000 3.8329
As 1.5642 1.5642 1.9257
As 1.5642 1.5642 5.7401
```



<B> is preferred energetically. Next in line: 116 meV per atom higher.
____________

The main effect was what the late Senator Eugene Forsey called “the greatest ever romp of the rich to skin the poor in history.” His remark was not reported in the press. Canada’s new rising homelessness, unemployment,child poverty, food banks, poor mothers, and student debt slaves are some of the predictable consequences of the life-blind war of money theocracy for ever more. As Mel Hurtig noted in Pay the Rent or Feed the Kids, official poverty in Canada, which business-funded institutes tirelessly seek to define away, has steeply risen. Families below the poverty line multiplied five times faster during the 1990s than the family population; the bottom fifth of income earners have seen their incomes drop by 31% since 1984, with even average personal incomes declining by 6% — the biggest drop since the Great Depression. And all the while, the wealthy grew much wealthier after taxes as regulatory regimes and public sectors were scaled back.

As the predicted financial meltdown today unfolds, the very same deregulating, defunding, non-governing and tax-supported regime which is structured to enrich the richest has come back to demand trillions from the public purses of the world to keep its private money-pyramids afloat. We might recall that, last October, before Wall Street’s black hole swallowed over $700 billion of public money in a trice, Wall Street’s bank slogan was: “Nobody, including governments, are going to pay off their debts. They are just going to pay on time.” So they piled up compound-interest debt obligations from societies, poor credit-card holders, anywhere they could, until more and more citizen demand was bankrupted.

The strategy throughout was ever new financial instruments for squeezing more out to unproductive financial devices, all backed by so called “free market” governments. They refused to impose even a tenth-of-one-percent tax on financial transactions.

Silently, behind the whole redistribution of wealth from the public and the poor to the wealthiest, sits the tax system itself. It is by far the major allocator of wealth in the country, and it has been driven by an ideology of equating economic progress with the rise of private money demand and priced commodities, a measure that is perfectly consistent with the poor having ever lower standards of living than before.

Think here, as well, of the handouts of credit creation and currency to private banks in which even a 1-to-20 ratio of legal tender to back up the debt-money loaned out was called an “unfair tax on banks.” And so even this modest restraint on the banks was eliminated by a servile federal government in the early 1990s.

And think, too, of government tax breaks and subsidies to Harper’s home province tar-sands corporations which destroy native ecosystems and are the world’s biggest source of carbon gas emissions, or the military-oil complex to the south, of which we are increasingly a junior partner — all fouling the world with tax breaks and subsidies while public benefits at all levels are slashed to single mothers, the working poor, the disemployed, and now students. To worsen this life-blind irresponsibility, the social programs that mainly benefit the most vulnerable among us — public housing, affordable university access, public jobs, unemployment insurance, and environmental regulatory enforcement – have all been drastically cut back.

To top it all off, everyone who earns an income has been forced to join the money maximizing game with private RRSP stock speculations paid for by tax-deductions from the public coffers in place of secure public pensions. At the bottom are the poor who cannot afford any RRSPs for their retirement, and the newly poor who have had their retirement savings wiped out by the private stock markets in which they were tax-forced to invest.

- - -
No. 1
An optimized crystal structure of LiSc2Se, computed with PBE-GGA.

Cell lengths 5.824, 5.824, 5.824 Å; angles 140.59, 140.59, 56.96 degrees
Element x y z (fractional)
Li1 0.000 0.000 0.000
Sc1 0.250 0.750 0.500
Sc2 0.500 0.500 0.000
Se1 0.750 0.250 0.500

Values from the calculation:
energy relative to the elements, uncorrected: -0.517 eV per atom

No. 2
An optimized crystal structure of Li2ScSe, computed with PBE-GGA.

Cell lengths 3.612, 6.179, 6.179 Å; angles 35.43, 90.00, 90.00 degrees
Element x y z (fractional)
Li1 0.000 0.000 0.000
Li2 0.500 0.392 0.392
Sc1 0.000 0.731 0.731
Se1 0.500 0.162 0.162

Values from the calculation:
energy relative to the elements, uncorrected: -0.720 eV per atom

No. 3
An optimized crystal structure of LiScSe2, computed with PBE-GGA.

Cell lengths 3.784, 6.780, 6.780 Å; angles 29.96, 90.00, 90.00 degrees
Element x y z (fractional)
Li1 0.000 0.000 0.000
Sc1 0.500 0.220 0.220
Se1 0.000 0.802 0.802
Se2 0.500 0.566 0.566

Values from the calculation:
energy relative to the elements, uncorrected: -1.442 eV per atom

No. 4
An optimized crystal structure of LiSc4Se6, computed with PBE-GGA.

Cell lengths 6.659, 6.659, 20.134 Å; angles 90.00, 90.00, 146.39 degrees
Element x y z (fractional)
Li1 0.169 0.831 0.750
Li2 0.831 0.169 0.250
Sc1 0.091 0.909 0.137
Sc2 0.091 0.909 0.363
Sc3 0.365 0.635 0.043
Sc4 0.365 0.635 0.457
Sc5 0.635 0.365 0.543
Sc6 0.635 0.365 0.957
Sc7 0.909 0.091 0.637
Sc8 0.909 0.091 0.863
Se1 0.000 0.000 0.000
Se2 0.000 0.000 0.500
Se3 0.187 0.813 0.250
Se4 0.276 0.724 0.582
Se5 0.276 0.724 0.918
Se6 0.453 0.547 0.162
Se7 0.453 0.547 0.338
Se8 0.547 0.453 0.662
Se9 0.547 0.453 0.838
Se10 0.724 0.276 0.082
Se11 0.724 0.276 0.418
Se12 0.813 0.187 0.750

Values from the calculation:
energy relative to the elements, uncorrected: -1.601 eV per atom

No. 5
An optimized crystal structure of LiSc2Se, computed with PBE-GGA.

Cell lengths 3.835, 5.613, 5.613 Å; angles 39.07, 90.00, 90.00 degrees
Element x y z (fractional)
Li1 0.000 0.000 0.000
Sc1 0.000 0.275 0.275
Sc2 0.500 0.584 0.584
Se1 0.500 0.856 0.856

Values from the calculation:
energy relative to the elements, uncorrected: -0.751 eV per atom

No. 6
An optimized crystal structure of Li2ScSe, computed with PBE-GGA.

Cell lengths 4.683, 4.683, 4.683 Å; angles 60.00, 60.00, 60.00 degrees
Element x y z (fractional)
Li1 0.000 0.000 0.000
Li2 0.250 0.250 0.250
Sc1 0.500 0.500 0.500
Se1 0.750 0.750 0.750

Values from the calculation:
energy relative to the elements, uncorrected: -0.366 eV per atom

No. 7
An optimized crystal structure of LiScSe4, computed with PBE-GGA.

Cell lengths 5.770, 5.770, 5.770 Å; angles 60.00, 60.00, 60.00 degrees
Element x y z (fractional)
Li1 0.000 0.000 0.000
Sc1 0.750 0.750 0.750
Se1 0.375 0.375 0.375
Se2 0.375 0.375 0.875
Se3 0.375 0.875 0.375
Se4 0.875 0.375 0.375

Values from the calculation:
energy relative to the elements, uncorrected: 0.049 eV per atom

No. 8
- - -

As poverty from the economic crisis deepens and spreads, citizens wonder what they can do. As individuals, they are limited by their own resources, so that only public action in the end works at the system level — and tax policies are at its core. Yet understanding of the connections between taxation and poverty at a systemic level is lacking. A system shift requires four re-sets of tax policy:

  1. No tax obligations fall on individual and family annual incomes until they exceed poverty level, with negative taxation implemented to raise all children above the poverty line.
  2. All unearned income is taxed as highly as earned income, and more as poverty rates rise to reconnect the rich to the poor.
  3. Corporate taxes are returned to pre-1980 levels and reduced only so far as their enterprise demonstrably serves the life requirements of society by producing life goods.
  4. Toxic market commodities are prohibitively taxed in accordance with their life-cycle carbon imprint, their known ill-causing effects, and their failure to ensure recycling of their packages and remains – all of which are afflictions on the poor most of all (e.g., climate destabilization, junk foods, and throwaway packaging).

Where international trade edicts block these tax reforms, as with flight capital, overdue level-playing-fieldrules of corporate and capital-gains taxation become imperative. These corporate treaty edicts which protect transnational corporate property, profit, and commodities alone — the ultimate bias structure of the global market order – must be revised to overcome their life-blind cycles of injustice and ecological depredation.

(John McMurtry, PhD, F.R.S.C., is University Professor Emeritus at the University of Guelph and the author of Value Wars: The Global Market versus the Life Economy.)